Floor Set, a secret technique to increase the number of move drawers and speed up your route setting.

Drawing out moves is not about the number of stories you have, but about your imagination to figure out the best moves from a limited number of options. This imagination can be developed through training. In this YouTube video, I introduced my signature explosive route setting technique, the floor set. It is an effective setting … Continue reading “Floor Set, a secret technique to increase the number of move drawers and speed up your route setting.”

The Five Elements of Serendipity

(From the June 2016 Mitsuo’s Report.) In route setting, discovering chance encounters and creating new movements is the most exciting part. The accidental elements are important hints to establish a unique move, but they are created by daily effort, challenge, and experience. The discovery of an idea is accidental, but it is also inevitable. Serendipity … Continue reading “The Five Elements of Serendipity”

Press your feet hard! 5Q/V2 From Live Set – Problem Description

What comes next are records of molecules, not part of the page =
+++
Entry 1:
{"formula": "C3H5NO2", "method": "wB97M-V/def2-TZVPD", "total_charge": 0, "total_energy_ha": -322.5592, "relative_energy_kj_mol": 39.6, "gap_ev": 11.29, "species": ["C", "N", "C", "O", "C", "O", "H", "H", "H", "H", "H"], "xyz": [[0.204, -0.666, 1.060], [-0.069, 0.162, -0.111], [-0.433, -0.490, -1.276], [-0.560, -1.688, -1.355], [0.092, 1.539, -0.116], [0.437, 2.199, 0.833], [0.079, -0.074, 1.967], [1.223, -1.064, 1.009], [-0.493, -1.508, 1.043], [-0.597, 0.191, -2.129], [-0.134, 1.983, -1.104]], "lowdin_charge": [-0.0090, -0.0857, -0.2954, 0.0580, -0.2916, 0.0626, 0.0927, 0.1039, 0.0923, 0.1362, 0.1360]}

=====

Entry 2:
+++

Climbers discover something and grow by climbing problems. And the power of discovery is a stronger motivator than completing a climb. Creating that kind of opportunity is a unique and wonderful part of route setting that is not found in other jobs. I hope this will give you a hint as to what factors give … Continue reading “Press your feet hard! 5Q/V2 From Live Set – Problem Description”

Doesn’t make you weak! “Wrap” to help create good climbing form.

A route setting is something that you can’t learn if you only learn the techniques but don’t understand the reasons behind them. However, it is also true that by introducing specific techniques, it is easier to understand the reasons behind them. So, in this article, I’ve tried to introduce a technique that I often use … Continue reading “Doesn’t make you weak! “Wrap” to help create good climbing form.”

How to create a “high quality” easy problems

I uploaded a YouTube video on how to create “high quality” easy problems, guiding movement with footwork, how to distinguish between good and bad problems, tips on route setting and how to practice. I mentioned easy problems in my last live streaming route setting, which was well received, so I thought about easy problems again … Continue reading “How to create a “high quality” easy problems”

[Attached: data records]
____________
No. 1
Molecular formula: C11H35O14P3
Method: DFT, ωB97M-V with the def2-TZVPD basis set

The geometry in ORCA input format:
```
! RIJCOSX wB97M-V def2-TZVPD def2/J DEFGRID3
* xyz 0 1
C -0.784 -1.158 -3.761
O -2.184 -1.353 -3.805
P -3.130 -1.036 -2.550
O -3.034 0.341 -2.057
O -4.574 -1.462 -3.060
C -5.431 -0.496 -3.676
O -2.774 -2.155 -1.477
C -3.142 -3.532 -1.689
H -0.281 -2.044 -4.160
H -0.387 -1.029 -2.753
H -0.442 -0.349 -4.409
H -6.083 -0.080 -2.912
H -6.036 -1.018 -4.412
H -4.881 0.299 -4.173
H -2.230 -4.107 -1.836
H -3.805 -3.663 -2.542
H -3.676 -3.856 -0.797
C -0.163 -2.454 0.253
O 1.203 -2.031 0.268
P 2.015 -1.678 -1.039
O 1.394 -2.177 -2.278
O 3.466 -2.248 -0.732
C 4.203 -1.718 0.376
O 2.194 -0.103 -0.918
C 2.710 0.730 -1.957
H -0.779 -1.779 0.852
H -0.236 -3.469 0.624
H -0.553 -2.304 -0.756
H 4.909 -2.467 0.719
H 3.539 -1.408 1.186
H 4.758 -0.813 0.113
H 1.949 1.390 -2.361
H 3.189 0.166 -2.756
H 3.478 1.341 -1.482
C 2.187 1.591 6.671
O 3.104 0.867 5.837
P 2.627 0.271 4.432
O 3.698 -0.302 3.614
O 1.824 1.471 3.770
C 1.089 1.243 2.557
O 1.418 -0.715 4.815
C 1.657 -1.929 5.508
H 1.992 0.970 7.545
H 1.262 1.841 6.157
H 2.685 2.507 6.981
H 0.021 1.179 2.739
H 1.517 0.397 2.016
H 1.327 2.104 1.930
H 1.517 -1.782 6.577
H 2.690 -2.284 5.389
H 1.073 -2.731 5.060
C -0.441 1.810 -0.767
O -1.635 2.526 -1.005
H -0.065 1.381 -1.702
H 0.312 2.455 -0.322
H -0.635 0.934 -0.138
H -2.260 1.862 -1.336
C -1.865 5.560 -3.008
O -2.266 5.183 -1.706
H -0.995 6.231 -3.011
H -1.606 4.681 -3.605
H -2.667 6.129 -3.488
H -1.970 4.270 -1.553
*
```

Its SMILES is COP(=O)(OC)OC.COP(=O)(OC)OC.COP(=O)(OC)OC.CO.CO. The calculation puts the HOMO-LUMO gap at 9.92 eV. The LUMO energy is 0.58 eV. The energy above the lowest of the compared OMol25 structures with the same formula, charge and spin is 0.000 eV.

These are the natural (NBO) partial charges, in e, on atoms 1 to 2: -0.259, -0.822

=====

No. 2
Molecular formula: C11H36BMgO11S3
Method: DFT, ωB97M-V with the def2-TZVPD basis set

The geometry in ORCA input format:
```
! RIJCOSX wB97M-V def2-TZVPD def2/J DEFGRID3
* xyz 1 1
Mg 19.860 -4.499 0.724
B 20.335 -7.542 0.335
H 21.069 -7.131 1.011
H 20.655 -8.527 0.031
H 19.369 -7.573 0.814
H 20.287 -6.869 -0.507
O 19.437 -0.527 -4.719
S 20.357 -1.653 -4.772
O 20.469 -2.683 -3.679
O 19.940 -2.536 -6.137
C 19.487 -1.837 -7.340
C 18.218 -2.498 -7.915
C 22.054 -1.052 -5.313
H 20.275 -1.815 -8.092
H 19.370 -0.791 -7.057
H 18.265 -3.587 -7.889
H 18.051 -2.163 -8.939
H 17.319 -2.362 -7.313
H 22.307 -0.150 -4.756
H 21.902 -0.836 -6.370
H 22.798 -1.848 -5.296
O 19.549 0.497 1.143
S 19.714 1.951 1.081
O 20.491 2.570 0.052
O 18.204 2.627 1.101
C 18.181 4.060 1.131
C 18.032 4.484 -0.365
C 20.406 2.561 2.668
H 19.109 4.497 1.500
H 17.392 4.451 1.773
H 17.384 3.821 -0.939
H 18.965 4.439 -0.927
H 17.682 5.483 -0.626
H 19.570 2.683 3.357
H 20.895 3.508 2.439
H 21.057 1.792 3.084
O 15.999 -3.035 0.779
S 14.625 -2.696 1.237
O 13.671 -3.796 1.474
O 14.865 -1.985 2.722
C 13.763 -1.586 3.483
____________

Metolius Blue Ribbon for the best basic practice

Shojin Holds’ YouTube channel has a video explaining the Metolius Blue Ribbon hold. If you use the automatic translation option, English subtitles will be displayed. This is the first half. It explains what is so great about Blue Ribbon. It includes a video of Mitsuo actually setting the route. The video below is the second … Continue reading “Metolius Blue Ribbon for the best basic practice”

The most important fundamentals to learn from choosing holds

“守りつくして 破るとも 離るるとても 本を忘るな” “Follow the basics thoroughly, and don’t forget the original, even if you break or go away from your basics.” These are the words of Sen no Rikyu, who changed the culture of Japan. Those who train according to the basics and master KATA(form) will be able to “break” the existing the form by comparing … Continue reading “The most important fundamentals to learn from choosing holds”